Matt Dempsey (202) 224-9797
David Lungren (202) 224-5642
Inhofe: States, Employers Concerned About Actions of EPA Regional Office
Sends Letter to EPA Administrator Requesting Information on Region 6
Washington, D.C. - U.S. Senator James Inhofe (R-Okla.), Ranking Member of the Senate Committee on Environment and Public Works, today sent a letter to EPA Administrator Lisa Jackson regarding recent actions by EPA Region 6 Administrator Dr. Al Armendariz. The actions of Dr. Armendariz, detailed in the letter, threaten jobs, local economies, and could undermine the longstanding partnership between EPA and state and local agencies-a partnership that has effectively implemented and enforced environmental regulations for several decades.
"A number of concerns have been brought to my attention by state and local officials, as well as regulated businesses and their employees, about recent actions taken by EPA Region 6," Senator Inhofe said. "These actions could threaten jobs and local economies in the states over which Region 6 wields authority. Environmental protection is an important priority, but it shouldn't exist in a vacuum, absent considerations about jobs and economic growth.
"In addition, environmental management and enforcement have long been shared by states and the federal government. Yet Region 6 appears to be overriding the federal-state partnership that has worked successfully for over forty years. The most effective means of protecting the environment can only come through this partnership, and it must be based on trust and mutual respect.
+++
Entry 1:
Molecular formula: C43H41FGeIN4O5Zn
Method: DFT, ωB97M-V/def2-TZVPD

Computed properties:
Maximum force = 0.0162 Eh/bohr
Net charge = +1

Last column: Löwdin charge in e.
CARTESIAN COORDINATES (ANGSTROEM)
I  1.986954  -1.694509  -4.313114  1.0003
Ge  -4.027020  -3.421474  0.280417  1.0693
Zn  0.228276  -0.876037  -1.079567  0.7065
F  1.098833  5.587710  0.770280  0.0594
O  1.827523  -1.834128  -0.974781  -0.1364
O  3.906644  -2.238724  -0.303340  0.0454
O  -1.684493  -1.188938  -0.471894  -0.0716
O  1.142419  0.969717  -0.968718  -0.0075
O  -0.121015  -0.759908  0.997485  -0.0115
N  5.407322  8.432474  1.405798  0.0607
N  4.737377  1.483147  0.913801  0.0113
N  -0.475041  -0.527982  -3.065013  -0.0073
N  3.709198  6.164953  1.657213  -0.0868
C  6.037956  1.633495  1.522545  -0.2597
C  -5.471949  -6.680055  2.711918  -0.0883
C  -6.904712  -3.313120  -0.636360  -0.0927
C  -1.135785  -5.373410  -2.969463  -0.0915
C  4.275738  8.210288  0.444417  -0.0777
C  -1.298240  -1.110796  0.736801  -0.6277
C  -2.774497  -4.147700  -1.064948  -0.2618
C  -0.636557  -5.087241  -1.704574  -0.0780
C  -1.455849  -4.486418  -0.761060  -0.1109
C  -3.190366  -6.233977  3.289393  -0.0866
C  3.175704  7.401759  1.133506  -0.1240
C  -4.354510  -6.963841  3.481250  -0.0926
C  -3.160227  -5.218384  2.347194  -0.1208
C  -2.299837  0.476697  -4.247560  -0.0411
C  4.780917  6.385961  2.590231  -0.1324
C  -2.437682  -5.025863  -3.291478  -0.0870
C  4.348989  0.266004  0.463193  0.0503
C  5.936872  7.127633  1.921302  -0.0813
C  1.706313  3.406145  0.203870  0.0943
C  0.087312  -0.829677  -4.238919  -0.7384
C  -2.260493  -1.404151  1.866841  -0.1581
C  -7.678967  -1.778137  -2.318618  -0.0927
C  -3.251037  -4.416119  -2.343967  -0.1059
C  -0.511956  -0.530070  -5.456667  -0.1357
C  -4.278947  -4.908413  1.570445  -0.2563
C  -5.606544  -2.824319  -0.748936  -0.2740
C  -3.673860  -1.821351  1.455646  -0.2380
C  2.212970  1.046501  -0.337811  -0.2706
C  3.155690  -0.014624  -0.121153  0.0011
C  -7.933450  -2.796978  -1.414439  -0.0851
C  2.609339  2.340838  0.225780  -0.0402
C  6.504107  0.598305  2.496672  -0.0725
C  3.342005  4.894965  1.200239  -0.1342
C  2.048950  4.621389  0.716067  -0.1873
C  6.122493  1.960524  2.986728  -0.1000
C  -1.654562  0.110509  -3.085761  -0.1090
C  3.869249  2.549270  0.802418  -0.1154
C  -1.717615  0.144888  -5.459935  -0.0474
C  -5.431273  -5.665444  1.764677  -0.1007
C  4.234560  3.835284  1.226410  0.0569
C  -6.390770  -1.275241  -2.441150  -0.0892
C  -5.368826  -1.796278  -1.663938  -0.1275
C  2.957597  -1.492801  -0.491689  -0.5984
H  -1.796834  -2.154950  2.511307  0.1144
H  -2.302569  -6.463989  3.865271  0.1025
H  5.139973  5.448047  3.004980  0.1297
H  5.246586  3.987172  1.570816  0.0993
H  6.310682  6.561290  1.069664  0.1422
H  -4.253677  -2.034828  2.356235  0.0713
H  5.057093  8.977422  2.197699  0.1840
H  6.751268  7.318310  2.618501  0.1402
H  2.396672  7.216741  0.404316  0.1315
H  7.544343  0.309487  2.476743  0.1131
+++
**The quantum chemistry results stop here**
"Through my leadership position on the EPW Committee, I am sending a letter to EPA Administrator Lisa Jackson to get more information. Administrator Jackson and I have a strong working relationship, so I am hopeful we can address these concerns and restore the federal-state partnership in Region 6."
Full Text of Letter
[These records of molecules were left in the page by mistake]
/*
Here is a molecular structure, C58H59Co2N2O5P2 at a distorted geometry from the OMol25 dataset. Energies are from wB97M-V/def2-TZVPD.

```
128
Properties=species:S:1:pos:R:3:forces:R:3
C 8.16248 -11.32645 5.73688 -0.089 -0.210 -0.018
C 9.13039 -10.81068 6.80620 0.254 0.017 0.205
C 9.86738 -9.57462 6.29025 0.188 0.113 -0.010
C 10.11394 -11.89951 7.25687 -0.308 0.200 -0.053
C 11.03138 -12.42884 6.34968 0.257 -0.248 0.079
C 11.85737 -13.49283 6.71464 -0.158 0.135 0.132
C 11.75842 -14.04497 7.99164 0.047 0.143 -0.200
C 10.88055 -13.51495 8.93514 -0.007 -0.238 0.155
C 10.80149 -14.15748 10.32887 0.109 0.450 -0.173
C 12.19619 -14.45261 10.88951 0.128 0.117 0.057
C 9.98966 -15.44936 10.33428 -0.200 -0.285 -0.145
C 10.07749 -12.42338 8.55921 -0.553 -0.151 0.335
N 9.09389 -11.91117 9.49836 1.622 0.177 -0.480
P 9.37432 -10.60293 10.61471 -1.314 -0.174 -0.652
H 8.54884 -9.59906 9.90416 0.449 -0.180 0.204
N 8.07610 -11.23733 11.58256 0.664 0.772 1.436
C 7.87723 -10.94955 12.99250 -0.092 -0.455 -0.552
C 7.09348 -9.84554 13.35889 -0.186 0.140 -0.258
C 6.44459 -8.94134 12.30364 0.283 -0.071 0.127
C 6.84736 -7.47875 12.50688 0.127 0.077 -0.013
C 4.91889 -9.07897 12.30411 -0.120 -0.163 0.040
C 6.86637 -9.60712 14.71348 0.146 -0.192 0.284
C 7.36150 -10.48223 15.68119 0.038 -0.001 -0.239
C 8.08956 -11.60735 15.29394 -0.075 0.237 0.052
C 8.37477 -11.84885 13.95125 0.039 -0.283 0.047
C 9.19092 -13.09244 13.56750 0.047 0.484 -0.070
C 8.35950 -14.37069 13.60322 -0.303 -0.222 0.064
C 10.40680 -13.26576 14.48267 0.144 0.102 0.018
C 7.40646 -12.28906 10.98110 -0.062 -0.735 -1.225
C 7.97690 -12.66646 9.81344 -1.092 -0.026 0.909
H 7.61741 -12.20897 6.09314 0.076 0.103 -0.073
H 7.42483 -10.55861 5.46943 0.221 -0.097 0.082
H 8.70250 -11.60685 4.82217 -0.096 0.054 0.164
H 8.54890 -10.52242 7.68684 0.009 -0.026 -0.123
H 10.56153 -9.18117 7.04484 -0.139 -0.037 -0.133
H 10.45308 -9.82077 5.39402 -0.163 0.075 0.174
H 9.16576 -8.77512 6.01494 0.151 -0.219 0.061
H 11.09668 -12.00991 5.34406 -0.037 -0.130 0.250
H 12.58263 -13.89553 6.00906 -0.198 0.071 0.092
H 12.38245 -14.89557 8.26522 -0.103 0.212 -0.127
H 10.30825 -13.43468 10.99110 0.159 -0.184 -0.265
H 12.85112 -13.57717 10.80688 -0.086 -0.173 0.024
H 12.13419 -14.73437 11.94966 -0.008 0.011 -0.242
H 12.65860 -15.28682 10.34371 -0.027 0.190 0.198
H 8.95757 -15.29766 9.99793 0.212 -0.004 0.072
H 10.45999 -16.18893 9.66905 -0.117 0.136 0.129
H 9.95720 -15.88092 11.34533 0.023 0.116 -0.243
H 6.81654 -9.27200 11.32925 -0.095 0.081 0.090
H 7.93907 -7.37332 12.51535 -0.196 0.040 -0.018
H 6.44665 -6.84612 11.70449 0.079 -0.139 0.181
H 6.46474 -7.10164 13.46432 0.066 -0.006 -0.187
H 4.61653 -10.12480 12.17163 0.033 0.152 0.034
H 4.49398 -8.72074 13.25144 0.074 -0.072 -0.150
H 4.46978 -8.49415 11.49106 0.162 -0.073 0.160
H 6.29041 -8.73070 15.01436 0.115 -0.256 -0.056
H 7.18757 -10.29072 16.73919 -0.026 -0.034 -0.228
H 8.45544 -12.30420 16.04751 -0.097 0.215 -0.112
H 9.54951 -12.93993 12.54149 -0.141 0.011 0.346
*/
July 14, 2010
The Honorable Lisa Jackson
U.S. Environmental Protection Agency
Ariel Rios Building
1200 Pennsylvania Avenue, N.W.
Washington, DC 20460
Re: Recent Clean Air Act Activities by Region 6
Dear Administrator Jackson:
I have been made aware of a number of actions initiated by the Region 6 Administrator, Dr. Al Armendariz, which have alarmed state and local officials and regulated entities. These actions, discussed below, seem to contradict the relationship between the EPA and state and local agencies developed over forty years pursuant to the Clean Air Act. Further, I am concerned about the costs and impacts of various actions on regulated businesses and their employees. I have not been made aware of any information that these actions would further in any meaningful way the primary goal of the Clean Air Act, improving air quality. I request that you indicate whether you support these actions and if they are part of any national initiative or policy.
On May 10, 2010, Dr. Armendariz convened a meeting at EPA Region VI Dallas Headquarters. Participating in the meeting were state environmental and natural resource regulatory authorities, representatives of the oil and gas industries, and representatives from industry trade associations. I will not detail the many statements or conclusions offered by EPA Region VI staff and Dr. Amendariz with which the invited participants disagree or question, but instead, I will focus on the request by Dr. Armendariz for a region-wide speciated inventory of VOC and NOx air pollutants for the purported purpose of preparing for the impending ozone NAAQS.
- 1. In asking for a speciated inventory, which will be costly, is EPA contemplating providing credit for the reactivity of various pollutants in the formation of ozone? Otherwise what is the purpose?
- 2. The request was made on a region-wide basis but only included the States of Texas, Oklahoma, Arkansas, and Louisiana. Why was New Mexico excluded?
- 3. The inventory was requested on a county-by-county basis to be gathered by the relevant trade associations from their oil and gas industry exploration and production members as a voluntary undertaking ignoring traditional state involvement. Should the industry decline to participate, Dr. Armendariz threatened to issue Clean Air Act Section 114 requests. Such threats do not make the request a voluntary effort. Further, since the revised Ozone NAAQS has not been made final and work on the 2008 Ozone NAAQS has essentially been halted by EPA, non-attainment areas for the new NAAQS have not been designated and the EPA Rule on how to implement the New NAAQS, the Implementation Rule, has not been made final, it would seem unreasonable to issue a 114 request for the requested information. Do you believe that a 114 request is reasonable at this time?
- 4. Since more than 9 companies will be required to supply information, I request that you supply to me the Paperwork Reduction Act documents indicating clearance by OMB for this request.
- 5. What is the basis for only requesting information from the oil and gas production and exploration industry?
- 6. The focus of the information appears to be on areas with shale production and exploration? Is there a national effort to examine air emissions from shale gas operations?
- 7. Dr. Armendariz requested well site equipment counts and a company level forecast of production and drilling schedules for the next ten years. I would like to know the purpose of this request with regard to an as yet final ozone NAAQS.
- 8. Producing this information will be redundant and an unnecessary cost as the sources will be required to submit formal information as part of the SIP development process conducted by the States once a new ozone NAAQS has been promulgated. Do you agree with this assessment?
- 9. I would like an explanation as to the purpose of excluding the state and local regulatory authorities. In addition, I seek your commitment to follow the requirements of the Clean Air Act's federal-state partnership in addressing air quality issues - a partnership which has been successfully implemented and developed over 40 years.
Between two parts of the entry: records of molecules
Record 1
Density functional theory data (wB97M-V/def2-TZVPD) for a cluster of 2 separate species, C6H14O in total.

Values from the calculation:
gap between HOMO and LUMO: 10.738 eV
SMILES: C=CCCOC.C
HOMO: -9.69 eV
ΔE to the lowest compared entry with this formula, charge and spin: 39.1 kcal/mol

```
! wB97M-V def2-TZVPD RIJCOSX def2/J DEFGRID3
* xyz 0 1
C -2.37 0.87 -1.65
C -2.00 -1.20 1.07
C -0.81 -1.52 0.57
C 0.49 -0.86 0.96
C 1.13 -0.09 -0.19
O 2.37 0.40 0.26
C 3.04 1.16 -0.70
H -3.46 0.87 -1.66
H -1.98 0.61 -2.63
H -2.00 1.85 -1.34
H -2.11 -0.41 1.82
H -2.91 -1.66 0.72
H -0.75 -2.28 -0.21
H -2.04 0.12 -0.92
H 1.21 -1.61 1.30
H 0.32 -0.17 1.79
H 1.28 -0.75 -1.07
H 0.48 0.74 -0.52
H 3.25 0.58 -1.61
H 3.98 1.49 -0.26
H 2.45 2.05 -0.99
*
```

Electronic structure analysis, Mulliken charges in units of e: C -0.74; C -0.87; C -0.11; C -0.45; C -0.33; O -0.33; C -0.71; H 0.33; H 0.27; H 0.25; H 0.26; H 0.32; H 0.29; H -0.05; H 0.27; H 0.25; H 0.32; H 0.20; H 0.29; H 0.25; H 0.29

Record 2
Density functional theory data (wB97M-V/def2-TZVPD) for a structure of composition C2H4LiO2V.

Values from the calculation:
gap between HOMO and LUMO (spin up / spin down): 7.068 / 7.976 eV
HOMO (spin up / spin down): -11.60 / -12.56 eV
expectation value of S²: 3.765

```
! wB97M-V def2-TZVPD RIJCOSX def2/J DEFGRID3
* xyz 1 4
O -1.06 0.54 -1.09
C 0.48 -0.40 -0.32
C 0.61 0.02 1.11
O -0.62 -0.66 1.22
Li -1.23 1.38 -2.61
V -2.06 0.17 0.37
H 0.28 -1.34 -0.86
H 1.48 -0.28 -0.77
H 0.74 1.10 1.29
H 1.39 -0.53 1.65
*
```

Electronic structure analysis, Mulliken charges in units of e: O -0.97; C -0.22; C -0.22; O -0.78; Li 0.89; V 1.12; H 0.31; H 0.36; H 0.19; H 0.32

Record 3
Density functional theory data (wB97M-V/def2-TZVPD) for a cluster of 2 separate species, C5H10O2 in total.

Values from the calculation:
gap between HOMO and LUMO: 10.511 eV
SMILES: C=CCO.CC=O
HOMO: -9.69 eV
ΔE to the lowest compared entry with this formula, charge and spin: 56.2 kcal/mol

```
! wB97M-V def2-TZVPD RIJCOSX def2/J DEFGRID3
* xyz 0 1
O 1.96 0.33 0.87
C 1.66 -0.70 -0.06
C 0.43 -1.40 0.41
C -0.82 1.90 0.14
C -1.86 0.93 -0.31
O -1.97 0.55 -1.45
C -0.53 -1.83 -0.38
H 2.83 0.68 0.64
H 1.47 -0.32 -1.07
H 2.51 -1.40 -0.13
H 0.39 -1.58 1.48
H -0.32 1.51 1.03
H -0.08 2.02 -0.65
H -1.28 2.86 0.36
H -2.47 0.48 0.50
H -0.49 -1.68 -1.46
H -1.39 -2.38 -0.02
*
```

Electronic structure analysis, Mulliken charges in units of e: O -0.50; C -0.38; C 0.00; C -0.85; C 0.18; O -0.50; C -0.91; H 0.29; H 0.25; H 0.36; H 0.32; H 0.21; H 0.23; H 0.38; H 0.36; H 0.27; H 0.31

Record 4
Density functional theory data (wB97M-V/def2-TZVPD) for the molecule C23H26N2O3.

Values from the calculation:
gap between HOMO and LUMO: 6.513 eV
SMILES: CCOCCCNC(=O)c1cc(=O)n(Cc2cccc(C)c2)c2ccccc12
HOMO: -7.82 eV
ΔE to the lowest compared entry with this formula, charge and spin: 529.2 kcal/mol

```
! wB97M-V def2-TZVPD RIJCOSX def2/J DEFGRID3
* xyz 0 1
C -8.01 -2.39 0.38
C -6.66 -2.26 -0.58
O -6.46 -0.86 -1.11
In addition to these issues, I am aware that Dr. Armendariz has threatened to federalize the Texas air permitting program on the grounds that the Texas air program is deficient. Please provide any documents describing the nature of these threats and EPA discussions with Texas authorities on the nature of the deficiencies and consequences of the failure to correct such deficiencies.
It has also been reported that Region VI is in the process of hiring at least 8 engineers or other staff specialties to operate the Texas program. What is the source of funds for this hiring? Do the positions reduce staff levels in other EPA or Region VI programs?
Finally, Oklahoma Gas and Electric Company (OG&E) recently made a proposal for an alternative visibility SIP. The proposal would avoid the costly installation of Sulfur dioxide control equipment (scrubbers) by replacing coal with natural gas. Dr. Armendariz has been quoted (informally) as stating that he would deny the OG&E SIP proposal. The substitution of gas for coal is a cost-effective alternative to installing expensive scrubber technology. I would like to know the current status of the proposal and to be kept informed of any pending or final action by EPA or Region VI on the OG&E proposal.
Should you have any questions please do not hesitate to contact Ryan Jackson at 202-224-0152 or George Sugiyama at 202-224-0146.
Ranking Member
Cc: Dr. Al Armendariz
Regional Administrator
Environmental Protection Agency
Fountain Place 12th Floor, Suite 1200
1445 Ross Avenue
Dallas, TX 75202-2733
Related Files
- _EPA Region6_07-14-10 - _EPARegion6_7142010.pdf (682.6 KBs)